British Wreck Commissioner's Inquiry
Day 19
Testimony of Paul Mauge
Examined by the ATTORNEY-GENERAL.
20074. Were you Secretary to the Chef of the Restaurant a la carte on the "Titanic"?
- Yes, I was.
20075. You have never been on a ship before?
- No, it was the first time.
20076. First of all, do you remember where your berth was - was it 21?
- My cabin, do you mean?
20077. Yes?
- 21.
20078. Was it by the engine room?
- I cannot tell you exactly; any way, I had No. 21.
20079. Do you remember whether it was on the port or starboard side?
- Well, it was on the left side.
20080. That is the port side; and in the third class corridor, was it?
- In the third class corridor.
20081. Do you remember what deck it was on?
- I can show you by this model, if you wish.
20082. Yes, show us by this?
- It was this one (Pointing.) I cannot say exactly; it is very difficult to say, but it was the third class corridor.
20083. We will see if we can arrive at it more closely directly. There were other people in your cabin, I suppose?
- We were four.
20084. Were you asleep when the vessel came into collision with the iceberg?
- Yes; I was sleeping.
20085. Did it wake you up?
- The head pastry cook got up and I got up after him.
20086. Did he call you?
- No; I got up after when I saw him come back, but one steward said to me "Oh, there is no danger; it is better you go to sleep." I had been sleeping again. At the moment I heard the alarm signal, and I went to the front, but the stewards sent me back to my cabin.
20087. I think I heard you saying there was an alarm signal?
- Yes, an alarm signal.
20088. What do you mean by that?
- A ringing.
20089. A bell ringing?
- Yes.
20090. Down where you were on the third class corridor?
- Yes.
20091. Alarming everybody on that corridor?
- Yes.
20092. That is what I wanted to know. Then did you come out of your cabin?
- Yes, I have been on the front of the ship, just to see what it was, but a lot of people came and sent me back to my cabin. I have been passing by the staircase of the restaurant, and I have been on the first class passenger deck. I forgot to tell you before that I saw Captain Smith had been to the engine room. He came back two minutes after. After that I have been to the first class passenger room by the staircase and I saw Captain Smith again at the first lifeboat. He said to a lady, "It is all right, lady."
20093. It was for her to get into the boat?
- Yes.
20094. Do I understand it rightly, he was encouraging a lady to get into the boat?
- Yes, because no lady or gentleman would like to go; everybody thought it would be quite safe.
20095. When you heard the bell ringing, giving the alarm in the third class corridor, did you see other persons coming out of that third class corridor?
- Yes, a lot of persons came from the front and went to the back, some of them with luggage, some with children. Some showed us a piece of ice.
20096. What I want to understand from you is, the effect apparently of the ringing of the bell there was to alarm the third class passengers in that corridor?
- Yes, it was to alarm the third class passengers.
20097. I thought I understood you to say that some went forward?
- I do not follow exactly.
20098. Were you near the chef's room?
- Yes.
20099. That will help us - on the same deck?
- Yes, on the same deck and the same corridor.
20100. That would be deck E - near the pantry were you?
- It was marked "pantry," but no pantryman was with us; it was washing men - men who washed the plates.
20101. What were the men who were in the cabin with you?
- The pastry cook and two washing men. They washed some plates or glasses or something like that.
20102. (The Attorney-General.) I see about where it is. If you look at E deck, My Lord, it is somewhere here (Pointing on the plan.) (To the witness.) When you speak of the third class corridor, I should like to understand what you mean by that. Was that the corridor into which your cabin opened?
- Yes.
20103. And were there also a number of third class cabins with passages leading down to the side of the ship?
- Yes, the cabin of the chef was just close to the ship.
20104. Close to the side of the ship?
- Yes.
20105. That is where your cabin was, do you mean?
- Yes, I was three before.
20106. So you had to walk down the corridor to get to yours; it was the fourth cabin, the nearest to the side of the ship?
- No, that was for the chef only; the chef was the nearest cabin on the side of the ship. I was four or three rooms before.
The Attorney-General:
Your Lordship sees the "chef"; that is on the port side and he is quite right. That is the closest; that is just on the side of the ship, against the side of the ship.
The Commissioner:
20107. (The Attorney-General - To the witness.) And you say you were before that?
- Yes.
The Attorney-General:
He means by that that there were four.
The Witness:
Four or three cabins and three people with me. We were four together.
20108. There were three cabins?
- Yes.
20109. Yours was one of the three cabins?
- Yes, the last one.
20110. In your cabin there were four persons?
- Yes.
20111. (The Attorney-General.) Then what he means, I understand, My Lord, is that there would be three cabins before you got to the last cabin against the side of the ship. (To the witness.) So that you would have to walk down a corridor or an alleyway, and yours would be the first of the three. Was it so?
- The first of the three, the nearest to the corridor.
The Attorney-General:
That is right, it would be nearest to the corridor before you turn.
20112. (The Commissioner - To the witness.) When you were walking towards the chef's cabin, was your cabin on your left-hand side?
- On my left-hand side, yes.
20113. Was it near where the fourth cook was?
- Well, it was marked so, but they changed their cabin with some others.
The Commissioner:
I think I know sufficiently well, Mr. Attorney, where it was.
20114. (The Attorney-General.) I see it better on a larger plan. (To the witness.) There was a wide corridor first of all, along which you walked?
- Yes.
20115. And if you were walking towards the stern of the ship - you know what I mean - the afterpart of the ship?
- Yes.
20116. Did you turn to the right in order to go to your cabin?
- I do not follow you exactly.
20117. Well, as I understand you there is a wide corridor, and then from that there is a smaller corridor which runs at right angles to the side of the ship?
- The small corridor was where I was, My room, My cabin, and the chef too; my cabin was on the left and the cabin of the chef was on the right.
20118. That is quite right; on the larger plan it is much easier to see, My Lord. (The Attorney-General pointed out the position on the larger plan.) Very well, now we understand. When you say you came out in consequence of the alarm and got into the corridor, do you mean the wide corridor?
- The big corridor, yes.
20119. When you got into the big corridor which way did you go?
- The first time I tried to go in front of the ship just to see what had happened, but there was a rush of people sent me back to my cabin. I went on the first class passenger deck and I saw there Captain Smith.
20120. I do not want to go through that. When you came back did you go along the stern of the ship at all?
- I have been once on the first class passenger deck.
20121. Did you have a difficulty?
- No, because we had a staircase which was going on the first class passenger deck, a private staircase only for the staff.
20122. Then you did get there?
- Yes.
20123. Did you see women and children being put into the boat?
- Yes, but not many, because that was only the first one.
20124. Only the first boat?
- Yes, the first boat.
The Commissioner:
The first boat does not mean No. 1?
The Attorney-General:
No, he means the first boat launched.
The Witness:
20125. What became of all the other persons who were employed in the restaurant; did they remain on the deck or did they go up with you?
- Well, I go down again, and I said to the chef, "There is some danger happening; we must get up." He lost his temper - he lost himself.
20126. He lost his presence of mind?
- Yes.
20127. Do you mean that he was agitated at what you told him?
- Yes.
20128. And lost his head - is that what you mean?
- Yes. I said to the other cooks to wait for us. After that we had been by the third class deck just at the back, and we have been trying to go on the second class passenger deck. Two or three stewards were there, and would not let us go. I was dressed and the chef was too. He was not in his working dress; he was just like me. I asked the stewards to pass. I said I was the secretary to the chef, and the stewards said, "Pass along, get away." So the other cooks were obliged to stay on the deck there; they could not go up. That is where they die.
20129. The other cooks were not allowed to pass?
- They could not go on this deck (Pointing on the model.)
20130. Why?
- Because some stewards were there, and would not let them pass.
20131. (The Commissioner.) Who were there?
- Some of the stewards, some members of the crew.
20132. (The Attorney-General.) You say they would not let them pass. You were allowed to pass?
- They let me pass, Me and the chef, because I was dressed like a passenger. I think that was why they let me pass.
20133. You think?
- I think, I cannot say.
20134. When you got on deck were they still putting the women and children in the boats?
- Oh, yes.
20135. Was this right, that they were preventing the men, the cooks and the other persons, engaged in the restaurant, from coming up on the deck where they were putting the women and children into the boats. Is that what you mean?
- No. I mean exactly this, that it was not possible for the number of the crew of the restaurant to be saved, because on the third class passenger deck there was no lifeboat at all, and it was not possible for them to go on the second class passenger deck.
20136. There was no lifeboat on the third class deck. That is right?
- No, that is what I say.
20137. You mean they could not get into a lifeboat unless they had got up on the boat deck?
- That is right.
20138. And they were not allowed to get up on the boat deck?
- No, Sir; they were not.
20139. (The Commissioner.) Why were they not allowed to get up on the boat deck? Why was it they were kept from getting to the boat deck?
- Well, I cannot say; I do not know.
20140. (The Attorney-General.) How many of them were there?
- I think all the members of the restaurant were there.
20141. How many would that be?
- Perhaps 60.
20142. You mean "soixante"?
- Ah! You understand French. Yes, 20 cooks and 40 waiters.
20143. They were all men, I suppose?
- Yes.
Very well, then we understand. When you came on the deck they were loading the boats, were they.
20144-5. (The Commissioner.) Who was keeping them back?
- Who was keeping the men from the restaurant from going on the second class deck?
20146. Yes?
- Some stewards.
20147. How many stewards?
- Well, there were two or three on each side.
20148. Am I to understand two or three stewards were keeping back 60 men?
- I cannot say after that how they managed to try to pass. Anyway they could not pass because I stood on the second class passenger deck for half-an-hour.
20149. And you did not see them?
- I did not see them.
20150. (The Attorney-General.) You stayed on there for half-an-hour and then eventually you got up on to the boat deck, did you not?
- Yes, after.
20151. Then after you got up to the boat deck they were still putting the women and children into the boats?
These molecular data were left in the article by mistake:
........
No. 1
The following is a quantum chemistry calculation of a molecular structure, C37H53NS4SbSi3SnTe, from the Open Molecules 2025 dataset.

Each line ends with the Löwdin charge.
CARTESIAN COORDINATES (ANGSTROEM)
H (14.406, 17.408, 9.832)  0.0698
C (9.844, 15.379, 15.710)  -0.1063
H (13.399, 19.371, 11.319)  0.1109
H (16.453, 12.200, 8.181)  0.0816
C (9.017, 20.366, 6.430)  -0.2285
C (6.794, 15.273, 8.744)  -0.2387
H (12.734, 13.921, 17.815)  0.0931
C (13.241, 9.821, 7.641)  -0.2980
C (14.342, 10.673, 7.797)  -0.0434
C (15.516, 12.599, 8.630)  -0.0943
C (11.919, 14.348, 17.227)  -0.1391
C (11.126, 15.278, 15.117)  -0.7006
H (8.573, 16.880, 12.531)  -0.0085
H (7.024, 20.528, 11.002)  0.0424
H (15.688, 13.138, 9.659)  0.0362
H (10.678, 18.628, 12.441)  0.0295
C (9.606, 14.984, 17.055)  -0.0961
C (12.524, 10.609, 9.818)  -0.2587
H (10.554, 12.607, 7.912)  0.0971
H (12.116, 12.784, 6.105)  0.1050
H (7.507, 18.161, 13.114)  0.0243
C (6.019, 17.888, 7.095)  -0.2154
H (14.651, 15.899, 10.647)  0.0550
Si (8.564, 18.697, 10.935)  0.3132
H (13.551, 9.463, 5.556)  0.0550
C (11.269, 13.405, 7.918)  -0.1182
H (13.182, 18.553, 15.507)  0.1149
H (12.949, 20.177, 13.676)  0.1093
C (10.634, 14.405, 17.773)  -0.1205
C (13.271, 15.299, 8.135)  -0.1116
Sn (10.987, 13.502, 12.447)  0.3925
Sb (9.442, 17.425, 8.896)  0.9114
C (11.086, 20.669, 8.523)  -0.2128
H (8.886, 15.498, 5.807)  0.0157
H (11.894, 19.084, 5.561)  0.0263
H (14.366, 16.604, 16.296)  0.0888
C (13.636, 18.742, 12.181)  -0.0588
C (7.999, 16.104, 5.939)  -0.2315
H (10.684, 11.230, 10.729)  0.0038
C (11.443, 10.485, 10.925)  -0.1271
C (14.028, 16.813, 10.657)  -0.4159
Si (7.409, 16.753, 7.645)  0.2795
C (12.230, 13.492, 6.944)  -0.1048
H (8.714, 15.071, 17.655)  0.0899
C (11.501, 18.492, 6.401)  -0.2458
H (5.867, 14.831, 8.387)  0.0111
H (11.921, 20.330, 9.091)  -0.0062
H (11.314, 21.643, 8.017)  0.0386
H (12.272, 18.357, 7.179)  0.0181
H (7.222, 15.531, 5.504)  -0.0009
H (5.442, 18.059, 7.923)  -0.0234
H (6.361, 18.812, 6.663)  0.0144
H (15.554, 15.926, 15.096)  0.0752
N (14.373, 16.649, 13.072)  0.1405
H (9.715, 20.229, 12.709)  0.0565
H (10.830, 9.599, 10.755)  0.0651
H (8.593, 19.761, 5.654)  0.0158
H (15.126, 10.594, 7.048)  0.1126
C (7.768, 17.563, 12.243)  -0.2162
Si (10.156, 19.341, 7.425)  0.2783
C (14.514, 16.114, 15.321)  -0.3721
S (11.326, 15.818, 13.463)  0.4491
C (12.163, 14.740, 15.927)  -0.5928
C (14.150, 17.058, 14.264)  -0.4299
C (14.108, 17.437, 12.035)  -0.3528
H (8.073, 20.496, 9.489)  -0.0038
H (10.514, 14.000, 18.795)  0.1014
C (13.237, 14.502, 6.969)  -0.0915
H (13.992, 16.110, 8.213)  0.0886
C (13.526, 11.609, 9.897)  -0.4469
C (13.331, 19.186, 13.447)  -0.0841
S (10.064, 14.117, 10.329)  0.3422
C (11.297, 14.277, 9.031)  -0.6765
H (12.110, 8.765, 6.062)  0.0607
H (8.096, 17.036, 5.336)  0.0271
H (6.979, 16.866, 11.996)  0.0093
C (7.430, 19.916, 10.151)  -0.2573
H (5.504, 17.278, 6.347)  0.0349
H (14.077, 14.637, 6.205)  0.1228
H (6.598, 19.393, 9.649)  0.0226
........
- Yes.
20152. Did you see any boats lowered whilst you were on the boat deck?
- I do not follow you exactly.
20153. (The Commissioner.) Did you see any boats put into the water?
- Yes, I saw some; just the last one.
20154. (The Attorney-General.) On which side do you mean?
- On this side.
20155. The starboard side?
- Yes.
20156. Do you mean the last one of the last four?
- It was the second or third, I cannot say which of the two.
20157. Do you mean you saw the second or third of the last four boats on the starboard side let down into the water?
- Yes.
20158. And filled with women and children, were they?
- No, because some of the women stayed with their husbands and would not like to go.
20159. You got into one of the boats, did you not?
- Oh, no; the second or third lifeboat was between two decks and I jumped directly from the top deck to this lifeboat. About six or ten persons were jumping in it.
20160. Now let me understand that. Are you speaking now of the second or third lifeboat of those last four on the right side?
- Yes.
20161. It had been lowered, or was being lowered to the water?
- Yes, it was going to the water, but it was between two decks when I jumped.
20162. But it was stopped between the two decks?
- Yes, was stopped between the two decks.
20163. And then you jumped into it?
- Yes.
20164. About 10 feet?
- I cannot say; I do not know.
20165. (The Commissioner.) How big a jump did you take? Just show us along this curtain?
- About half this, perhaps. (Pointing.)
20166. Down to where you are standing?
- Yes, to the lifeboat.
20167. (The Attorney-General.) He said about 10 feet. (To the witness.) You got into the boat, and eventually were saved?
- Yes, but before that I did ask the chef to jump many times, but the chef was too fat I must say - too big, you know. He could not jump.
20168. He was too stout, and, at any rate, he would not jump?
- No.
20169. You jumped. I suppose you saw it was very serious?
- Yes, and when I was in the lifeboat I shouted to him again in French. "Sautez."
20170. To jump down to you?
- Yes; he said something, but I could not hear because at the same moment a man said to me, "Shut up," or something like that. At the same moment another man from the "Titanic" (because at the moment the lifeboat was going down past the other deck; it was just like that.), a man from the "Titanic" tried to get me off to take my seat.
20171. He tried to take you off?
- Yes.
_Inserted here: quantum chemistry results_
22
Properties=species:S:1:pos:R:3:forces:R:3:lowdin_charge:R:1 method="wB97M-V/def2-TZVPD" e_above_lowest_kcal_mol=67.56 multiplicity=1 e_tot_ev=-16626.255 homo_lumo_gap_ev=9.0 total_charge=+1
C 1.589862 0.100232 -1.298307 0.077 -1.362 0.202 -0.08
C 0.560546 -0.928249 -0.737670 0.735 0.102 0.130 -0.27
C 0.514964 -1.002803 0.815319 -0.698 -0.106 -0.280 -0.23
C -0.250817 0.216018 1.618791 0.824 0.031 0.065 -0.22
C -0.052105 1.302209 0.648254 -1.009 -0.458 0.289 -0.16
C -1.177037 1.882135 -0.077482 -0.061 0.481 -0.468 0.07
O 1.179619 1.563757 0.377738 0.429 -0.326 0.667 0.13
O -0.748831 -0.719886 -1.202631 -0.235 -0.086 -0.095 0.00
O 1.812156 -1.111979 1.236586 0.609 -0.014 0.103 0.05
O -1.527600 -0.073228 1.989357 -0.742 0.105 -0.031 0.06
O 1.301821 1.451561 -1.046491 -0.150 1.179 -0.932 0.02
H 2.581196 -0.166066 -0.916754 -0.097 0.126 -0.099 0.15
H 1.587787 0.053004 -2.393354 0.001 0.085 0.162 0.16
H 0.947226 -1.907611 -1.048741 -0.014 0.125 0.054 0.17
H -0.121873 -1.860380 1.079982 0.073 0.206 -0.002 0.18
H 0.339843 0.342446 2.532847 0.075 0.021 -0.234 0.19
H -0.843522 2.609486 -0.816643 -0.052 -0.067 0.113 0.12
H -1.820042 2.357053 0.673677 0.080 0.006 0.142 0.14
H -1.800407 1.135371 -0.575377 0.174 0.005 0.134 0.12
H -0.871860 -1.130890 -2.067731 0.015 0.032 0.121 0.13
H 1.888704 -1.451521 2.138653 -0.124 0.010 -0.119 0.14
H -2.113610 -0.182551 1.226794 0.089 -0.092 0.078 0.12



126
Properties=species:S:1:pos:R:3:forces:R:3:lowdin_charge:R:1 method="wB97M-V/def2-TZVPD" smiles="CCCCCCCC[C@H](C[SH](=O)=O)O[C@](F)(CCCC(=O)O)[C@H](N(CCCCn1cccc1)/C(Cl)=C(/C)Cl)P(O)Cl.O=C1OC[C@@H](F)O1.O=C1OC[C@@H](F)O1.O=C1OC[C@@H](F)O1.O=C1OC[C@@H](F)O1" multiplicity=1 e_tot_ev=-152480.893 homo_lumo_gap_ev=8.2
C 2.599024 -2.351272 1.727781 0.134 -0.176 -0.156 -0.12
C 3.411691 -1.660686 0.649994 0.583 -0.204 0.106 -0.24
C 3.945725 -0.297666 1.085379 -0.248 -0.583 0.140 -0.21
C 2.970950 0.836857 0.831631 0.549 -0.026 0.180 -0.20
C 2.975256 1.334875 -0.603108 -0.092 0.333 0.055 -0.19
C 2.587898 2.821102 -0.727702 0.219 -0.778 -0.125 -0.18
C 1.805427 3.144066 -2.006757 -0.241 0.660 0.877 -0.17
C 0.296522 3.360885 -1.729132 0.911 -0.161 -0.113 -0.12
C -0.454300 2.085681 -2.101631 0.363 0.415 -0.863 -0.34
C -0.610795 2.134292 -3.627527 -0.535 0.392 0.195 -0.19
S -0.921923 0.558043 -4.352349 0.471 -0.120 -0.052 0.69
O -2.092058 -0.043276 -3.805667 -0.642 -0.260 0.180 -0.32
O 0.311999 -0.176377 -4.333696 0.358 -0.130 -0.004 -0.34
O -1.757143 1.927407 -1.582465 0.311 -0.229 0.217 -0.02
C -1.910661 1.886980 -0.196196 -0.802 -0.236 0.204 -0.47
F -1.954823 3.194015 0.264065 0.419 0.371 -0.016 0.03
C -0.757734 1.248749 0.563244 0.503 -0.841 -0.284 -0.08
C -0.187988 -0.174500 0.266322 -0.412 0.709 -0.214 -0.14
C -0.943046 -1.242431 -0.506143 -0.106 -0.494 -0.478 -0.07
C 0.099354 -2.217781 -1.008437 -0.053 -0.097 0.641 -0.48
O 1.016958 -2.543856 -0.305409 -0.617 -0.199 -0.935 0.07
O -0.080448 -2.724789 -2.250199 -0.302 0.351 -0.371 0.11
_The page goes on_
20172. You were in the boat?
- Yes, he tried to take me off the lifeboat.
20173. Where could he take you off; the boat was being lowered?
- That is what I said, the boat was lower. I will show you. The boat was just like there. (Pointing on the model.)
20174. Do you mean he leant forward. I do not understand how he could try, if your boat was being lowered. What do you mean by saying he tried to get you off the boat?
- He did try.
20175. (The Commissioner.) Where did he take hold of you?
- Well, just when the lifeboat arrived at the deck.
20176. Do you mean took hold of your arm?
- No, like that, just on the back.
20177. Of the back of you, by your coat?
- Yes.
20178. You were on the boat, and he was on the "Titanic"?
Attached: quantum chemistry results.
# 1
This record from OMol25 describes C4H3NO2 as an isolated structure. The level of theory is the ωB97M-V functional and the def2-TZVPD basis.

XYZ file:
```
10
Properties=species:S:1:pos:R:3:lowdin_charge:R:1
C -0.606 -0.220 -0.905 -0.1362
C 2.325 -0.620 -0.497 -0.2907
C 0.155 -0.448 0.239 -0.0519
C 0.771 0.922 -0.116 -0.2791
N -0.078 0.958 -1.265 0.0630
O 2.936 -1.603 -0.601 0.2285
O 2.199 0.613 -0.510 0.1334
H -1.369 -0.766 -1.428 0.1056
H 0.034 -0.994 1.150 0.0784
H 0.796 1.784 0.546 0.1490
```

Values from the calculation:
HOMO energy (spin up / spin down) (eV): -8.07 / -8.08
Charge: 0



# 2
This record from OMol25 describes one molecule with the formula C4H3NO2. The level of theory is the ωB97M-V functional and the def2-TZVPD basis.

XYZ file:
```
10
Properties=species:S:1:pos:R:3:lowdin_charge:R:1
C -1.266 -0.027 0.059 -0.0557
C -0.468 1.168 0.062 -0.0456
C -0.488 -1.138 -0.053 -0.1225
C 0.808 0.819 0.182 -0.1064
N 0.771 -0.832 0.356 0.0315
O 2.145 0.694 -0.147 0.0227
O 2.122 -0.720 -0.272 -0.0018
H -2.294 0.096 0.072 0.0817
H -0.730 2.144 -0.093 0.0807
H -0.599 -2.205 -0.165 0.1154
```

Values from the calculation:
HOMO energy (eV): -8.76
SMILES: c1cc2oon2c1
Charge: 0



# 3
This record from OMol25 describes one molecule with the formula C4H3NO2. The level of theory is the ωB97M-V functional and the def2-TZVPD basis.

XYZ file:
```
10
Properties=species:S:1:pos:R:3:lowdin_charge:R:1
N 2.153 -0.226 -0.011 0.1770
C 0.925 0.083 -0.007 -0.4131
C -0.180 -0.865 -0.184 0.0720
C -1.362 -0.272 0.255 -0.1189
C -0.984 1.196 0.314 -0.1948
O -1.365 0.759 -0.863 0.1050
O 0.405 1.332 0.345 0.0363
H 2.754 0.575 0.178 0.0687
H -0.040 -1.865 -0.557 0.1265
H -2.308 -0.717 0.531 0.1414
```

Values from the calculation:
HOMO energy (spin up / spin down) (eV): -9.10 / -9.58
Charge: 0



# 4
This record from OMol25 describes one molecule with the formula C4H3NO2. The level of theory is the ωB97M-V functional and the def2-TZVPD basis.

XYZ file:
```
10
Properties=species:S:1:pos:R:3:lowdin_charge:R:1
O 2.924 0.421 0.526 0.0828
C 2.030 0.078 -0.205 -0.1762
C 0.545 0.232 0.095 -0.4712
N -0.143 -0.583 -0.663 0.0736
C -1.493 -0.686 -0.285 -0.1449
C -1.807 0.366 0.447 0.2306
O 0.020 0.977 0.990 0.0541
H 2.191 -0.431 -1.183 0.1255
H -2.013 -1.639 -0.534 0.1379
H -2.255 1.265 0.813 0.0878
```

Values from the calculation:
HOMO energy (eV): -9.87
Charge: 0



The following calculated total energy values (in Eh) correspond, in order, to the records above: -359.2993, -359.1574, -359.2737, -359.3184.
The following relative energy (zero: lowest compared OMol25 entry of this formula, charge and spin) values (in eV) correspond, in order, to the records above: 4.6536, 8.5160, 5.3520, 4.1345.
Back to the article.
- He was on the "Titanic."
20179. (The Attorney-General.) And your boat was then going down, was it?
- Yes.
20180. And as you passed he caught you by the coat. Is that it?
- Yes, that is what I mean exactly.
Examined by Mr. SCANLAN.
20181. Had you a lifebelt on?
- Yes.
20182. And all your people had got lifebelts - those 60?
- Yes.
20183. Was this objection to people going up on to the deck only to your class of people - stewards from the Chef's Department?
The Commissioner:
No, the objection was by stewards, and it was made against waiters in the restaurant.
20184. (Mr. Scanlan.) I only want to get from him, My Lord, that this did not apply to passengers or anybody else. (To the witness.) This did not apply to passengers, did it; there were no passengers prevented from going up?
- No, there were not.
Examined by Sir ROBERT FINLAY.
20185. You were allowed to pass because you were taken for a passenger?
- Yes, but I said to the members of the crew that I was secretary to the chef. I said, "There is the chef, and I am his secretary." That is what I said to the steward, and he let me pass.
The Commissioner:
I regret to say so, but, it is unintelligible to me. What was it he said?
20186. (The Attorney-General.) He said he was secretary to the chef, and upon that they let him pass?
- I was secretary to the chef, and I said to the steward, "I am secretary, and there is the chef. Can you let me pass?" and he said, "All right, get away," and he let me pass.
20187. (Sir Robert Finlay.) I thought you said you were dressed so that you might be supposed to be a passenger?
- I think so; I was dressed like a passenger, just like this.
The Attorney-General:
The steward might have thought that the secretary to the chef was a passenger.
The Commissioner:
It was his dress, and that he was secretary to the chef; the two together got him through.
(The Witness withdrew.)